Tuesday, 27 May 2008

(Inserted here: crystal structures)
........
# NaMnPCO7

An optimized crystal structure of NaMnPCO7 (PBE+U, the Materials Project).

Computed properties:
ΔE_f ... -23.92 eV per formula unit
Spin magnetization ... 12.00 μB/cell
Calculated volume ... 13.7 Å³/atom

Cell: 6.2482 5.2462 18.3631 Å, 87.52 90.00 90.00°
Last column: nearest neighbours and their distance in Å.
Fractional coordinates of all 44 atoms:
Na (0.9720, 0.7587, 0.8807)  4 O 2.25-2.51
Na (0.4720, 0.2413, 0.6193)  4 O 2.25-2.51
Na (0.5280, 0.7587, 0.3807)  4 O 2.25-2.51
Na (0.0280, 0.2413, 0.1193)  4 O 2.25-2.51
Mn (0.2667, 0.2170, 0.8277)  6 O 1.90-1.99
Mn (0.7667, 0.7830, 0.6723)  6 O 1.90-1.99
Mn (0.2333, 0.2170, 0.3277)  6 O 1.90-1.99
Mn (0.7333, 0.7830, 0.1723)  6 O 1.90-1.99
P (0.7602, 0.2775, 0.7826)  4 O 1.53-1.55
P (0.2602, 0.7225, 0.7174)  4 O 1.53-1.55
P (0.7398, 0.2775, 0.2826)  4 O 1.53-1.55
P (0.2398, 0.7225, 0.2174)  4 O 1.53-1.55
C (0.2546, 0.2740, 0.9579)  3 O 1.23-1.33
C (0.7546, 0.7260, 0.5421)  3 O 1.23-1.33
C (0.2454, 0.2740, 0.4579)  3 O 1.23-1.33
C (0.7454, 0.7260, 0.0421)  3 O 1.23-1.33
O (0.7520, 0.6938, 0.9764)  1 C 1.23
O (0.2579, 0.0509, 0.9272)  1 C 1.32
O (0.2576, 0.4615, 0.9066)  1 C 1.33
O (0.9541, 0.2082, 0.8327)  1 P 1.55
O (0.5697, 0.2143, 0.8338)  1 P 1.54
O (0.7676, 0.5678, 0.7617)  1 P 1.55
O (0.2529, 0.8743, 0.7870)  1 P 1.53
O (0.7529, 0.1257, 0.7130)  1 P 1.53
O (0.2676, 0.4322, 0.7383)  1 P 1.55
O (0.4541, 0.7918, 0.6673)  1 P 1.55
O (0.0697, 0.7857, 0.6662)  1 P 1.54
O (0.7576, 0.5385, 0.5934)  1 C 1.33
O (0.7579, 0.9491, 0.5728)  1 C 1.32
O (0.2520, 0.3062, 0.5236)  1 C 1.23
O (0.7480, 0.6938, 0.4764)  1 C 1.23
O (0.2421, 0.0509, 0.4272)  1 C 1.32
O (0.2424, 0.4615, 0.4066)  1 C 1.33
O (0.9303, 0.2143, 0.3338)  1 P 1.54
O (0.5459, 0.2082, 0.3327)  1 P 1.55
O (0.7324, 0.5678, 0.2617)  1 P 1.55
O (0.2471, 0.8743, 0.2870)  1 P 1.53
O (0.7471, 0.1257, 0.2130)  1 P 1.53
O (0.2324, 0.4322, 0.2383)  1 P 1.55
O (0.4303, 0.7857, 0.1662)  1 P 1.54
O (0.0459, 0.7918, 0.1673)  1 P 1.55
O (0.7424, 0.5385, 0.0934)  1 C 1.33
O (0.7421, 0.9491, 0.0728)  1 C 1.32
O (0.2480, 0.3062, 0.0236)  1 C 1.23

* * * * *

Entry from the Materials Project database: TlAgC2N2 after structural relaxation (PBE).

Unit cell a=7.872 b=14.860 c=8.682 alpha=90.00 beta=92.10 gamma=90.00
Space group P2_1/c (No. 14)
Inequivalent atoms, fractional coordinates:
Tl 0.197 0.238 0.473 [4 per cell]
Tl 0.273 0.548 0.031 [4 per cell]
Ag 0.000 0.000 0.000 [2 per cell]
Ag 0.297 0.679 0.546 [4 per cell]
Ag 0.500 0.000 0.000 [2 per cell]
C 0.025 0.064 0.788 [4 per cell]
C 0.150 0.683 0.343 [4 per cell]
C 0.388 0.068 0.180 [4 per cell]
C 0.465 0.664 0.735 [4 per cell]
N 0.029 0.088 0.659 [4 per cell]
N 0.086 0.679 0.218 [4 per cell]
N 0.333 0.101 0.291 [4 per cell]
N 0.446 0.146 0.657 [4 per cell]

Calculated values
formation enthalpy at 0 K: 0.2428 eV/atom

=====

Entry from the Materials Project database: Cs2Si3SnO9 after structural relaxation (PBE).

Unit cell a=8.082 b=10.521 c=11.941 alpha=90.00 beta=90.00 gamma=90.00
........
(Here the piece continues)

informed consent, social contracts, and the veil of ignorance

(I've scheduled a few posts to magically appear here while I'm away over the next few weeks. What follows is one.)

Massimo Pigliucci concisely describes the basics of ethical theory: there's contractualism, where
no contractualist really maintains that there ever was a non-social state of nature for human beings (if they did, they would be contradicted by evolutionary biologists), nor that the so-called social contract was an historical event (historians would go crazy with that one), nor that it is actually entered into voluntarily by most people (you are usually born into a society with a given contract, meaning a set of laws and customs
and there's the Rawls variation, which introduces a device he calls the "veil of ignorance," where you
assume that you arrive at the bargaining table with no knowledge whatsoever of your social status, economic power, ethnicity, religion or gender. Then, asks Rawls, what kind of society would you want to set up? The answer, he argued, is a society that would guarantee maximum liberty equally distributed among its members, as well as an equal distribution of wealth and power.
Contemporary America does nothing of the sort (that position is far to the left of any Democrat in office; Libertarians and Republicans need not apply).

# Unrelated to this page: calculated crystals
~~~
(1)
Entry from the Materials Project: an optimized crystal structure of NaMg2Fe3P4H18O26 (GGA+U).

Structure (POSCAR):
```
NaMg2Fe3P4H18O26
1.0
9.542 0.000 0.000
0.000 13.265 0.000
-7.169 0.000 10.428
Na Mg Fe P H O
2 4 6 8 36 52
Direct
0.000 0.137 0.250
0.000 0.863 0.750
0.500 0.000 0.000
0.500 0.000 0.500
0.500 0.480 0.250
0.500 0.520 0.750
0.000 0.000 0.000
0.000 0.000 0.500
0.000 0.405 0.250
0.000 0.500 0.000
0.000 0.500 0.500
0.000 0.595 0.750
0.056 0.288 0.632
0.056 0.712 0.132
0.287 0.324 0.549
0.287 0.676 0.049
0.713 0.324 0.951
0.713 0.676 0.451
0.944 0.288 0.868
0.944 0.712 0.368
0.167 0.346 0.159
0.167 0.654 0.659
0.169 0.127 0.961
0.169 0.873 0.461
0.173 0.247 0.836
0.173 0.753 0.336
0.193 0.061 0.823
0.193 0.939 0.323
0.239 0.096 0.190
0.239 0.904 0.690
0.390 0.374 0.375
0.390 0.626 0.875
0.422 0.254 0.608
0.422 0.746 0.108
0.431 0.102 0.806
0.431 0.898 0.306
0.469 0.297 0.324
0.469 0.703 0.824
0.531 0.297 0.176
0.531 0.703 0.676
0.569 0.102 0.694
0.569 0.898 0.194
0.578 0.254 0.892
0.578 0.746 0.392
0.610 0.374 0.125
0.610 0.626 0.625
0.761 0.096 0.310
0.761 0.904 0.810
0.807 0.061 0.677
0.807 0.939 0.177
0.827 0.247 0.664
0.827 0.753 0.164
0.831 0.127 0.539
0.831 0.873 0.039
0.833 0.346 0.341
0.833 0.654 0.841
0.034 0.400 0.639
0.034 0.600 0.139
0.105 0.407 0.152
0.105 0.593 0.652
0.112 0.231 0.934
0.112 0.769 0.434
0.126 0.071 0.161
0.126 0.929 0.661
0.142 0.265 0.554
0.142 0.735 0.054
0.194 0.239 0.766
0.194 0.761 0.266
0.207 0.052 0.987
0.207 0.948 0.487
0.215 0.005 0.883
0.215 0.995 0.383
0.222 0.333 0.408
0.222 0.667 0.908
0.326 0.425 0.619
0.326 0.575 0.119
0.466 0.188 0.284
0.466 0.373 0.346
0.466 0.627 0.846
0.466 0.812 0.784
0.495 0.104 0.601
0.495 0.896 0.101
0.505 0.104 0.899
0.505 0.896 0.399
0.534 0.188 0.216
0.534 0.373 0.154
0.534 0.627 0.654
0.534 0.812 0.716
0.674 0.425 0.881
0.674 0.575 0.381
0.778 0.333 0.092
0.778 0.667 0.592
0.785 0.005 0.617
0.785 0.995 0.117
0.793 0.052 0.513
0.793 0.948 0.013
0.806 0.239 0.734
0.806 0.761 0.234
0.858 0.265 0.946
0.858 0.735 0.446
0.874 0.071 0.339
0.874 0.929 0.839
0.888 0.231 0.566
0.888 0.769 0.066
0.895 0.407 0.348
0.895 0.593 0.848
0.966 0.400 0.861
0.966 0.600 0.361
```

Results
For the uncorrected energy, the calculation gives -300.1 eV/f.u. For the energy of formation from the pure elements, the calculation gives -1.544 eV/atom. The calculation puts the magnetization at 13.000 μB/f.u.

=====

(2)
Entry from the Materials Project: an optimized crystal structure of Rb4MgFe8H6Se16O50 (GGA+U).

Structure (POSCAR):
```
Rb4MgFe8H6Se16O50
1.0
7.852 0.000 0.000
0.695 10.492 0.000
0.381 3.485 15.745
Rb Mg Fe H Se O
4 1 8 6 16 50
Direct
0.017 0.197 0.261
0.406 0.196 0.837
0.594 0.804 0.163
0.983 0.803 0.739
0.000 0.500 0.500
0.048 0.249 0.998
0.092 0.759 0.307
0.250 0.148 0.520
0.477 0.597 0.770
0.523 0.403 0.230
0.750 0.852 0.480
0.908 0.241 0.693
0.952 0.751 0.002
0.287 0.882 0.903
0.316 0.281 0.639
0.497 0.782 0.386
0.503 0.218 0.614
0.684 0.719 0.361
0.713 0.118 0.097
~~~

There's a funny sort of dichotomy at work here: in the original contractualism, we are all bonded against our will to contracts that no one ever explicitly approved (but which we all purportedly would approve if we were in an imaginary situation disarmingly called a state of "nature"). In Rawls' version, we are asked what contract we would set up if we didn't know anything about our own particular qualities and abilities (his answer is a meritocracy).

One of the great principles of fairness under the rule of law is informed consent. We insist on seeing all the available information (certified by experts!) before making a medical, legal, or financial decision. Why, then, are ethics to be based on ignorance?

Is it truly impossible to reach similar ethical conclusions from a more realistic starting point--a situation in which some ethical system is in place and individuals have partial knowledge of their own status?

1 comment:

Anonymous said...

Well my sense is that the point of the veil of ignorance is to generate some motivation for certain egalitarian principles (within the meritocracy proposed) and avoid the tyranny of the majority.

If people made the laws knowing their current (or future state) then it is easy to imagine that for example 60% could rig the rules to their benefit at the expense of the 40%. You can even imagine a situation where a minority rigs things this way for its benefit by exploiting the disorganization of the other groups. So fully informed consent would not prevent a social contract but it would prevent one that was fare in the sense of seeking to maximize everyone's interests equally.

Presumably Rawls does things this way rather than just appealing to some kind of universal concern for the wellbeing of others (or some other repudiation of basic egoism), because it is just such universal benevolence that he perceives as most in need of justification. However, I think your point is well taken and says that at some level the principle that everyone's welfare must be taken as important is just a basic presupposition. Then again all the veil may be doing is showing you a way to think in a non-egoist way, so that you do value all people equally and treat them all the same because you may well be any of them.

Unrelated to this piece: records of crystals.
/*
This record from Materials Project describes a geometry-optimized Mn3Ir structure. The functional is r²SCAN.

Lattice parameters (Å, degrees): 4.4136 9.4978 5.3869 90.00 90.00 90.00
Last column: nearest neighbours and their distance in Å.
Space group Ama2 (No. 40)
Symmetry-distinct sites (fractional):
Mn 0.2500 0.0819 0.0000 x4  8 Mn 2.62-2.78, 4 Ir 2.69-2.73
Mn 0.2500 0.0826 0.4863 x4  8 Mn 2.62-2.77, 4 Ir 2.71-2.75
Mn 0.2500 0.3297 0.2400 x4  4 Ir 2.67-2.70, 8 Mn 2.68-2.78
Ir 0.2500 0.3286 0.7397 x4  12 Mn 2.67-2.75

Computed properties:
Total magnetic moment ... 0.0 μB per cell
Total DFT energy (no corrections) ... -0.90174 hartree per atom

---

This record from Materials Project describes a geometry-optimized Mn3Ir structure. The functional is r²SCAN.

Lattice parameters (Å, degrees): 5.3134 4.3659 5.3728 90.00 118.98 90.00
Last column: nearest neighbours and their distance in Å.
Space group Pm (No. 6)
Symmetry-distinct sites (fractional):
Mn 0.0000 0.0000 0.0000 x1  8 Mn 2.63-2.74, 4 Ir 2.66-2.76
Mn 0.0038 0.0000 0.5125 x1  8 Mn 2.63-2.74, 4 Ir 2.64-2.67
Mn 0.1692 0.5000 0.3238 x1  8 Mn 2.62-2.74, 4 Ir 2.67-2.70
Mn 0.5046 0.0000 0.0116 x1  8 Mn 2.65-2.71, 4 Ir 2.66-2.71
Mn 0.6598 0.5000 0.8218 x1  4 Ir 2.60-2.72, 8 Mn 2.62-2.75
Mn 0.6685 0.5000 0.3380 x1  8 Mn 2.62-2.75, 4 Ir 2.69-2.72
Ir 0.1747 0.5000 0.8296 x1  12 Mn 2.60-2.72
Ir 0.5027 0.0000 0.5152 x1  12 Mn 2.62-2.76

Computed properties:
Total magnetic moment ... 4.0 μB per cell
Total DFT energy (no corrections) ... -0.89846 hartree per atom

* * * * *

The following is a DFT calculation (GGA-PBE) of an optimized crystal structure of Zn7Cd2P6O24.

Mass density (g/cm³): 4.4
E (eV per atom): -6.05
Crystal system: triclinic
Energy of formation (eV per atom): -2.322
Magnetic moment (μB per formula unit): 0.0

abc: 5.998 11.595 27.336
angles: 89.42 86.18 89.88
Space group P1 (No. 1)
One atom of each set of equivalent atoms:
Zn  0.000  0.000  0.000 (multiplicity 1)
Zn  0.001  0.612  0.247 (multiplicity 1)
Zn  0.072  0.258  0.226 (multiplicity 1)
Zn  0.090  0.747  0.356 (multiplicity 1)
Zn  0.165  0.504  0.582 (multiplicity 1)
Zn  0.166  0.108  0.334 (multiplicity 1)
Zn  0.210  0.689  0.770 (multiplicity 1)
Zn  0.239  0.857  0.561 (multiplicity 1)
Zn  0.258  0.357  0.687 (multiplicity 1)
Zn  0.329  0.610  0.913 (multiplicity 1)
Zn  0.336  0.002  0.667 (multiplicity 1)
Zn  0.406  0.253  0.891 (multiplicity 1)
Zn  0.424  0.747  0.022 (multiplicity 1)
Zn  0.498  0.503  0.248 (multiplicity 1)
Zn  0.500  0.108  0.001 (multiplicity 1)
Zn  0.546  0.689  0.437 (multiplicity 1)
Zn  0.573  0.857  0.228 (multiplicity 1)
Zn  0.590  0.359  0.353 (multiplicity 1)
Zn  0.666  0.000  0.334 (multiplicity 1)
Zn  0.668  0.613  0.581 (multiplicity 1)
Zn  0.740  0.258  0.560 (multiplicity 1)
Zn  0.756  0.753  0.692 (multiplicity 1)
Zn  0.827  0.502  0.915 (multiplicity 1)
Zn  0.833  0.109  0.668 (multiplicity 1)
Zn  0.879  0.689  0.103 (multiplicity 1)
Zn  0.905  0.856  0.895 (multiplicity 1)
*/

Personally I think the whole return to the state of nature or veil of ignorance is an attempt to take everyday life to an extreme for illustrative purposes. We are constantly renegotiating the laws, customs and norms of our society with our every action, even those of us not lucky enough to live in a democracy. We chose to obey laws or not and enforce laws or not as we take actions in the world, and we also endorse and argue for or reject and argue against such things. However there are practical impediments to our renegotiating in this way from the threat of death (from a despotic government say) to the problem that everyone wants different things (I think of this of the problem of ordering the pizza that everyone wants). So the imagined state of nature is just the radicalization of every day life.

Note that we are ignorant of our own future state and this has often been one way to appeal for compassion or mercy, the "One day you will be in my place and will anyone help you then..." line.

Personally looking around I would say that are current social contract is pretty far from consensus on many issues and that in some cases it seems as though well organized (and supplied) minorities have indeed entrenched certain benefits at the expense of others, but it is hard to say.